My recent letter to the President

Tuesday, May 19, 2009
Mr. President,

### Data records from another source follow
........
This record from the OMol25 dataset describes a structure of composition C39H44BiN3OS3Sb2. The level of theory is ωB97M-V/def2-TZVPD.

Output
HOMO-LUMO gap (spin up / spin down) ... 5.4 / 5.1 eV
Charge ... +2
Relative energy (zero: lowest compared OMol25 entry of this formula, charge and spin) ... 79.3 kcal per mole

Last column: Mulliken charge in e.
CARTESIAN COORDINATES (ANGSTROEM)
Bi: -0.76341 1.30631 0.32802  1.035
C: 2.99914 1.69744 4.80745  -0.671
S: 3.38421 2.49073 3.23254  0.029
C: 2.08407 2.06192 2.15852  0.470
S: 0.95076 0.76087 2.54805  -0.278
N: 2.10967 2.73527 1.05593  -1.175
N: 1.05755 2.62670 0.17868  0.815
C: 1.09673 3.51460 -0.76992  -0.307
C: -0.01821 3.65490 -1.68204  0.181
C: -0.01692 4.58195 -2.72170  -0.724
C: -1.13794 4.67008 -3.52465  -0.588
C: -2.22536 3.83985 -3.26787  -0.753
C: -2.15705 2.94607 -2.21638  0.157
N: -1.07575 2.85193 -1.44374  -0.197
H: 3.95577 1.52116 5.29196  0.382
H: 2.39206 2.35412 5.42588  0.310
H: 2.50954 0.73810 4.66992  0.110
H: 1.95401 4.16994 -0.82127  0.603
H: 0.84037 5.21635 -2.87626  0.554
H: -1.17300 5.38052 -4.33515  0.506
H: -3.11911 3.89120 -3.86746  0.499
H: -2.97791 2.28581 -1.97543  0.256
C: 1.38318 -2.52201 -2.98544  -1.781
C: 1.70388 -3.07823 -1.59833  -0.541
C: 0.57735 -3.89336 -0.98837  -1.097
Sb: -1.36022 -2.91267 -1.10428  1.066
C: -2.63717 -4.48871 -1.66338  1.051
C: -3.93507 -4.57258 -1.17407  -0.607
C: -4.74583 -5.63315 -1.53795  -0.758
C: -4.27159 -6.60695 -2.40387  -0.553
C: -2.98984 -6.51027 -2.92368  -0.687
C: -2.17276 -5.45600 -2.55284  -0.650
C: -2.83660 -1.45350 -0.55709  0.870
C: -3.22874 -0.98113 0.67812  -0.477
C: -4.27278 -0.07140 0.78662  -0.683
C: -4.95446 0.33502 -0.34877  -0.614
C: -4.56520 -0.13668 -1.59309  -1.021
C: -3.49783 -1.01439 -1.70362  -0.708
Sb: 0.26347 -0.69861 -2.82807  1.238
C: -0.34915 -0.41094 -4.83505  0.668
C: -0.17147 -1.38302 -5.81007  -0.542
C: -0.55289 -1.13574 -7.11935  -0.748
C: -1.11162 0.08334 -7.46283  -0.651
C: -1.29693 1.05619 -6.49285  -0.579
C: -0.92425 0.80570 -5.18402  -0.232
C: 1.92197 0.64412 -2.72480  1.144
C: 1.66749 2.00039 -2.89574  0.360
C: 2.69758 2.92378 -2.86184  -0.547
C: 3.99666 2.50021 -2.63166  -0.994
C: 4.25645 1.15271 -2.44814  -0.976
C: 3.22617 0.22894 -2.50064  -0.417
H: 0.78610 -3.24472 -3.54638  0.459
H: 2.28370 -2.32398 -3.56647  0.748
H: 1.99831 -2.27455 -0.91332  0.154
H: 2.57014 -3.74419 -1.66804  0.531
H: 0.77830 -4.21315 0.02575  0.595
H: 0.33941 -4.76790 -1.59390  0.608
H: -4.33023 -3.80372 -0.51467  0.376
H: -5.74887 -5.69964 -1.14817  0.440
H: -4.90241 -7.43851 -2.67946  0.404
H: -2.62832 -7.25066 -3.61957  0.443
H: -1.18229 -5.39101 -2.98468  0.264
H: -2.70609 -1.28763 1.56497  0.432
H: -4.55442 0.30964 1.75397  0.484
H: -5.78747 1.01719 -0.26519  0.440
H: -5.09608 0.17305 -2.48054  0.493
H: -3.20577 -1.37225 -2.68579  0.464
H: 0.27517 -2.33729 -5.56835  0.360
H: -0.40546 -1.89467 -7.87381  0.434
H: -1.40283 0.27545 -8.48372  0.409
H: -1.73026 2.00878 -6.76034  0.448
........

I write to you in frustration at your hesitation to take action against the Department of Defense “Don’t Ask Don’t Tell” (DADT) policy. As I write this letter, many like me are demonstrating their support online for 1LT Daniel Choi who is the most recent and perhaps most notorious service member being separated from the service because of the statements he made regarding his sexuality.

Daniel Choi is a friend of mine, but not the first to be separated under the DADT policy. SGT Bleu Copas, who I attended language school with, was also separated under DADT. Both of these men are dedicated soldiers, capable linguists and outstanding Americans. Their expulsion from the U.S. Army is regrettable and shameful.

You have stated yourself that “equality is a moral imperative,” and have declared the repeal of DADT to be a measure of equality for gay Americans. Recently, your White House agenda page referring to this issue has diluted its language to remind us that the task of repeal must be done in a sensible way. I ask how it is possible to wait for a sensible way to resolve an issue that is a “moral imperative.”

While I understand a little about the nature of the barriers you face in successfully gaining repeal of DADT, I am frustrated that your apparent support for this “moral imperative” has been little more than a note of solidarity to 2LT Sandy Tsao and similar utterances I have noticed in the news. I wonder how you honestly intend to use the “bully pulpit” you pledged to use to call for repeal of DADT. I have noticed no bullying behavior and have seen you behind no pulpits calling explicitly for repeal.

My wife and I both voted for you last year, and we do not regret that decision. I am not a single-issue voter although your actions in addressing this issue will be a part of my future decision making. I feel that your inaction on this issue, and failure to address it in a public way, as you pledged, degrades your credibility and your promise to me. Perhaps my greatest frustration is that you cannot or will not act on a seemingly easy issue from the vantage of a very high moral ground; and why not?

I beg you to take some action towards fulfillment of this very powerful pledge of yours for equality. To send some signal that you are interested in affecting a real change and not just sympathetic to the poor policy’s victims, rejecting the position that you lack any real control over the policy mechanism. If you were extremely bold, you might find a way to block or hinder the discharge of Daniel Choi, despite the DADT policy. Please don’t just send an apology note.

In closing, I would like to repeat some words that I am sure you are already familiar with. While you hesitate in making a difference with regards to DADT, and you let the system remain undisturbed, let the words of Dr. Martin Luther King Jr. remind you that “we will have repent in this generation not merely for the vitriolic words and actions of the bad people, but for the appalling silence of the good people.” I pray that you or I will not have to repent for your continued inaction against “Don’t Ask, Don’t Tell”.

With absolute greatest respect,
